• What to do:
Please set down only the lines further down with the word "Er3Th3MnIn2" in them.

• Source:
<<<
## one
Be5Os4: relaxed, PBE.

a b c (Å): 8.127 8.127 2.994
angles (deg): 90.00 90.00 90.00
Space group I4/mmm (No. 139)
One atom of each set of equivalent atoms:
Be1 0.000 0.000 0.000 [2 per cell]
Be2 0.183 0.183 0.500 [8 per cell]
Os1 0.000 0.299 0.000 [8 per cell]

Properties
The value obtained for the magnetization is 0.00 μB per cell.

***

## two
Be5Os4: relaxed, PBE.

a b c (Å): 6.9891 6.9891 4.7264
angles (deg): 90.00 90.00 120.00
Space group P6_3/mcm (No. 193)
One atom of each set of equivalent atoms:
Be1 0.0000 0.3081 0.2500 [6 per cell]
Be2 0.3333 0.6667 0.0000 [4 per cell]
Os1 0.0000 0.0000 0.0000 [2 per cell]
Os2 0.0000 0.3665 0.7500 [6 per cell]

Properties
The value obtained for the magnetization is 0.01 μB per cell.

***

In order of decreasing stability: one, two.

***

## one
BeOs5: relaxed, PBE.

a b c (Å): 9.860 2.752 6.284
angles (deg): 90.00 103.87 90.00
Space group Cm (No. 8)
One atom of each set of equivalent atoms:
Be1 0.000 0.000 0.000 [2 per cell]
Os1 0.045 0.000 0.607 [2 per cell]
Os2 0.159 0.500 0.319 [2 per cell]
Os3 0.217 0.500 0.925 [2 per cell]
Os4 0.323 0.000 0.653 [2 per cell]
Os5 0.380 0.000 0.262 [2 per cell]

Properties
The value obtained for the magnetization is 0.00 μB per cell.

***

## two
BeOs5: relaxed, PBE.

a b c (Å): 4.301 2.761 13.880
angles (deg): 90.00 90.00 90.00
Space group Amm2 (No. 38)
One atom of each set of equivalent atoms:
Be1 0.000 0.000 0.000 [2 per cell]
Os1 0.000 0.000 0.330 [2 per cell]
Os2 0.000 0.000 0.658 [2 per cell]
Os3 0.500 0.000 0.216 [2 per cell]
Os4 0.500 0.000 0.548 [2 per cell]
Os5 0.500 0.000 0.888 [2 per cell]

Properties
The value obtained for the magnetization is 0.00 μB per cell.

***

In order of decreasing stability: one, two.

***

## one
BeOs5: relaxed, PBE.

a b c (Å): 4.6935 4.6935 4.3095
angles (deg): 90.00 90.00 120.00
Space group P-62m (No. 189)
One atom of each set of equivalent atoms:
Be1 0.0000 0.0000 0.0000 [1 per cell]
Os1 0.0000 0.6800 0.5000 [3 per cell]
Os2 0.3333 0.6667 0.0000 [2 per cell]

Properties
The value obtained for the magnetization is 0.00 μB per cell.

***

## two
BeOs5: relaxed, PBE.

a b c (Å): 3.807 11.418 3.819
angles (deg): 90.00 90.00 90.00
Space group Cmmm (No. 65)
One atom of each set of equivalent atoms:
Be1 0.000 0.000 0.000 [2 per cell]
Os1 0.000 0.165 0.500 [4 per cell]
Os2 0.000 0.329 0.000 [4 per cell]
Os3 0.000 0.500 0.500 [2 per cell]

Properties
The value obtained for the magnetization is 0.00 μB per cell.

***

In order of decreasing stability: one, two.

* * * * *

VASP calculation (PBE) on an optimized crystal structure of TbErMnIn.

Lattice parameters (Å, degrees): 5.1868 5.1868 5.1868 60.00 60.00 60.00
Closest atoms and distances in Å follow each position.
Sites, in units of the cell vectors:
Tb: 0.0000 0.0000 0.0000  4 In 3.18, 4 Mn 3.18
Er: 0.5000 0.5000 0.5000  4 In 3.18, 4 Mn 3.18
Mn: 0.2500 0.2500 0.2500  4 Tb 3.18, 4 Er 3.18
In: 0.7500 0.7500 0.7500  4 Er 3.18, 4 Tb 3.18

Properties
ΔH_f (0 K) = -0.10 eV per atom
space group = F-43m (216)

VASP calculation (PBE) on an optimized crystal structure of Er3Th3MnIn2.

Lattice parameters (Å, degrees): 8.6837 8.6837 3.7596 90.00 90.00 120.00
Closest atoms and distances in Å follow each position.
Sites, in units of the cell vectors:
Er: 0.0000 0.3986 0.0000  4 In 3.25, 1 Mn 3.46, 4 Th 3.55
Er: 0.3986 0.0000 0.0000  4 In 3.25, 1 Mn 3.46, 4 Th 3.55
Er: 0.6014 0.6014 0.0000  4 In 3.25, 1 Mn 3.46, 4 Th 3.55
Th: 0.0000 0.7626 0.5000  2 Mn 2.79
Th: 0.2374 0.2374 0.5000  2 Mn 2.79
Th: 0.7626 0.0000 0.5000  2 Mn 2.79
Mn: 0.0000 0.0000 0.0000  6 Th 2.79
In: 0.3333 0.6667 0.5000  6 Er 3.25, 3 Th 3.39
In: 0.6667 0.3333 0.5000  6 Er 3.25, 3 Th 3.39

Properties
ΔH_f (0 K) = -0.19 eV per atom
space group = P-62m (189)

VASP calculation (PBE) on an optimized crystal structure of YErMnIn.

Lattice parameters (Å, degrees): 5.1843 5.1843 5.1843 60.00 60.00 60.00
Closest atoms and distances in Å follow each position.
Sites, in units of the cell vectors:
>>>

• Response:
VASP calculation (PBE) on an optimized crystal structure of Er3Th3MnIn2.